Wanted >
Next, type out the part of the data further down that starts with the line with "Ha: 0.2867" and stops after the one with "phase at".
File >
- - -
[1]
Entry from the OMol25 dataset: 2 unconnected molecules or ions with the total composition C6H12FN2 at a distorted geometry (ωB97M-V with the def2-TZVPD basis set).

Each line ends with the natural charge from an NBO analysis.
Geometry (Å):
C -1.3169 0.6466 0.3715  0.43
C -3.3560 0.5620 -0.9251  0.01
C 1.0201 -0.1768 -0.2311  0.28
C 0.0813 -2.3642 0.8313  -0.60
C 1.6692 1.9649 -1.0599  -0.43
C 1.1141 -1.1784 0.9343  -0.48
N -2.4584 0.7890 -0.1263  -0.40
N 1.6045 0.9746 -0.0118  -0.47
F -0.9779 0.7958 1.6557  -0.31
H -3.5330 -0.5569 -1.1532  0.21
H -4.0083 1.3394 -1.3343  0.23
H 0.5123 -0.4494 -1.1527  0.25
H -0.8927 -1.8981 1.0287  0.21
H 0.3231 -3.1572 1.6159  0.25
H 0.1626 -2.8295 -0.1081  0.22
H 0.6501 2.4918 -0.9955  0.22
H 2.5251 2.6345 -0.8107  0.24
H 1.7926 1.4332 -2.0199  0.23
H 2.0731 -1.6914 0.6788  0.25
H 1.2305 -0.7574 1.9362  0.25
H 1.7845 1.4275 0.8760  0.43

Properties
Total charge: +1
HOMO level, eV: -12.82
LUMO, eV: -4.2
F_max, eV/A: 4.22
Calculated total energy, a.u.: -444.8067
ΔE to the lowest compared entry with this formula, charge and spin, kJ/mol: 237.9
Orbital gap, Ha: 0.3153

---

[2]
Entry from the OMol25 dataset: a molecular structure, C6H12FO6Rb at a distorted geometry (ωB97M-V with the def2-TZVPD basis set).

Each line ends with the Löwdin charge.
Geometry (Å):
Rb 2.6159 10.3982 3.0143  0.93
F 3.4100 8.1794 1.3916  -0.82
C 4.1948 6.8747 4.0079  -0.05
O 4.3388 7.4401 5.3271  -0.01
C 3.3289 8.0975 5.9665  -0.53
O 2.3708 8.6351 5.3815  -0.02
O 3.5877 8.1664 7.2768  0.00
C 2.7581 8.8723 8.2037  -0.02
H 3.1575 6.8943 3.6738  0.08
H 4.4071 5.8056 3.9958  0.09
H 4.8067 7.2252 3.1767  0.06
H 3.1967 8.8649 9.2015  0.10
H 1.7431 8.4821 8.1277  0.10
H 2.6741 9.9173 7.9052  0.09
C 10.0361 9.9448 4.6939  -0.04
O 9.3234 11.2076 4.7529  0.00
C 8.1071 11.3287 4.1257  -0.48
O 7.4929 12.4151 3.9856  0.08
O 7.5585 10.1171 3.7805  -0.05
C 6.3307 9.9585 3.0963  -0.04
H 10.7650 9.9564 5.5042  0.09
H 10.5507 9.6152 3.7914  0.10
H 9.3971 9.1190 5.0067  0.09
H 5.5636 10.6074 3.5190  0.07
H 6.0329 8.9101 3.1109  0.08
H 6.5507 10.0747 2.0351  0.11

Properties
HOMO level, eV: -8.28
LUMO, eV: -0.5
F_max, eV/A: 4.38
Calculated total energy, a.u.: -811.1786
ΔE to the lowest compared entry with this formula, charge and spin, kJ/mol: 23.4
Orbital gap, Ha: 0.2867

---

[3]
Entry from the OMol25 dataset: C6H12I2 in the gas phase at a distorted geometry (ωB97M-V with the def2-TZVPD basis set).

Each line ends with the natural charge from an NBO analysis.
Geometry (Å):
C 1.9824 -0.3659 -0.6461  -0.60
C 0.0237 -0.1951 -2.2454  -0.63
C -1.8134 0.4562 2.4617  -0.67
C 0.5215 0.0218 -0.8046  -0.32
C -1.5601 0.7158 1.0028  -0.32
C -0.2919 -0.4743 0.3621  -0.21
I -3.2289 0.7547 -0.3169  0.11
I -1.2458 -2.4296 0.0317  0.04
H 2.3498 -0.1380 -1.6694  0.22
H 1.9401 -1.4629 -0.3670  0.22
H 2.5394 0.3918 0.0967  0.21
H 0.3950 0.4453 -3.0138  0.22
H -1.1135 -0.0822 -2.2049  0.22
H -0.0032 -1.1790 -2.6139  0.22
H -2.3662 -0.4319 2.5552  0.22
H -2.4659 1.0630 2.9934  0.23
H -0.8488 0.4296 2.9288  0.22
H 0.4864 1.0487 -0.5943  0.21
H -1.0903 1.7379 0.9240  0.21
H 0.2573 -0.7388 1.2175  0.19

Properties
SMILES: CC(C)[C@H](I)[C@H](C)I
HOMO level, eV: -9.01
LUMO, eV: 0.4
F_max, eV/A: 4.24
Calculated total energy, a.u.: -831.1276
ΔE to the lowest compared entry with this formula, charge and spin, kJ/mol: 73.2
Orbital gap, Ha: 0.3458

---

[4]
Entry from the OMol25 dataset: a gas-phase ion, C6H12I2N (charge +1) at a distorted geometry (ωB97M-V with the def2-TZVPD basis set).

Each line ends with the natural charge from an NBO analysis.
Geometry (Å):
C -0.6227 -0.8352 1.6554  -0.34
C 0.8828 -0.6546 1.2740  -0.52
C -1.4476 -0.7316 0.3325  -0.53
C 1.1354 0.5886 0.5761  0.07
C -1.0427 0.4101 -0.5620  -0.13
C 1.9780 0.7290 -0.6181  -0.55
N -1.1812 -0.0152 -2.0463  -0.76
I -1.9838 2.2736 -0.0503  0.21
I 4.1921 1.1122 -0.2228  0.11
H -0.8321 -1.6458 2.2556  0.24
H -0.7728 0.0117 2.2273  0.21
H 1.3327 -0.6633 2.2388  0.28
H 1.3548 -1.5381 0.7728  0.23
- - -
Outcome >
Orbital gap, Ha: 0.2867

---

[3]
Entry from the OMol25 dataset: C6H12I2 in the gas phase at a distorted geometry (ωB97M-V with the def2-TZVPD basis set).